Repeat the whole of the lines underneath verbatim.

GGA-PBE EuErTm2, optimized geometry; E_tot = -5.776 eV per atom; E above lowest polymorph = 98.3 meV per atom
1.0
5.673 0.000 0.000
2.836 4.913 0.000
2.836 1.638 4.632
Eu Tm Er
1 2 1
Cartesian
0.000 0.000 0.000
2.836 1.638 1.158
8.509 4.913 3.474
5.673 3.275 2.316

=====

Run a
Entry from the Alexandria database: Pm2NdNi after structural relaxation (PBE). Values from VASP.

```
&SYSTEM
  ibrav = 0, nat = 16, ntyp = 3
/
ATOMIC_SPECIES
Pm 145.00 Pm.upf
Ni 58.69 Ni.upf
Nd 144.24 Nd.upf
CELL_PARAMETERS angstrom
-3.1898 3.0996 -4.7404
-2.9665 -6.0623 -1.9679
-7.5714 1.6920 6.2011
ATOMIC_POSITIONS crystal
Pm 0.1741 0.6766 0.4333
Ni 0.4315 0.8875 0.2500
Pm 0.3259 0.1766 0.0667
Pm 0.8259 0.3234 0.9333
Ni 0.5685 0.1125 0.7500
Nd 0.3564 0.4656 0.7500
Pm 0.6741 0.8234 0.9333
Pm 0.6741 0.8234 0.5667
Ni 0.0685 0.3875 0.2500
Ni 0.9315 0.6125 0.7500
Nd 0.8564 0.0344 0.2500
Pm 0.8259 0.3234 0.5667
Pm 0.1741 0.6766 0.0667
Pm 0.3259 0.1766 0.4333
Nd 0.1436 0.9656 0.7500
Nd 0.6436 0.5344 0.2500
```

## Properties
* magnetic moment: 0.00 μB per cell
* DOS(E_F): 1.055 states/eV per atom

---

Run b
Entry from the Alexandria database: Pm2NdNi after structural relaxation (PBE). Values from VASP.

```
&SYSTEM
  ibrav = 0, nat = 4, ntyp = 3
/
ATOMIC_SPECIES
Ni 58.69 Ni.upf
Nd 144.24 Nd.upf
Pm 145.00 Pm.upf
CELL_PARAMETERS angstrom
-0.9589 -3.5500 -0.1606
-0.2727 -1.6870 -3.2600
9.7832 -4.5256 -0.5545
ATOMIC_POSITIONS crystal
Ni 0.5000 0.5000 0.5000
Nd 0.0000 0.0000 0.0000
Pm 0.1115 0.1115 0.6655
Pm 0.8885 0.8885 0.3345
```

## Properties
* magnetic moment: 0.38 μB per cell
* DOS(E_F): 1.619 states/eV per atom

---

Most stable structure - run a; separation to the second - 271 meV/atom.

---

Run a
Entry from the Alexandria database: PmNd3Ni after structural relaxation (PBE). Values from VASP.

```
&SYSTEM
  ibrav = 0, nat = 10, ntyp = 3
/
ATOMIC_SPECIES
Nd 144.24 Nd.upf
Pm 145.00 Pm.upf
Ni 58.69 Ni.upf
CELL_PARAMETERS angstrom
3.7183 0.0000 0.6110
1.7925 6.0984 0.7111
-0.2439 -0.4751 13.1039
ATOMIC_POSITIONS crystal
Nd 0.1091 0.1532 0.6286
Nd 0.7782 0.0547 0.3889
Nd 0.9910 0.1117 0.9063
Pm 0.2209 0.5549 0.0033
Nd 0.4380 0.9760 0.1481
Ni 0.4540 0.3195 0.7725
Nd 0.4344 0.6129 0.5183
Nd 0.7748 0.6895 0.7609
Pm 0.1039 0.5137 0.2784
Ni 0.7566 0.3506 0.1362
```

## Properties
* magnetic moment: 0.00 μB per cell
* DOS(E_F): 1.337 states/eV per atom

---

Run b
Entry from the Alexandria database: PmNd3Ni after structural relaxation (PBE). Values from VASP.

```
&SYSTEM
  ibrav = 0, nat = 5, ntyp = 3
/
ATOMIC_SPECIES
Nd 144.24 Nd.upf
Ni 58.69 Ni.upf
Pm 145.00 Pm.upf
CELL_PARAMETERS angstrom
5.4959 0.0000 0.0000
0.0000 5.4959 0.0000
0.0000 0.0000 5.4959
ATOMIC_POSITIONS crystal
Nd 0.5000 0.0000 0.0000
Nd 0.0000 0.0000 0.5000
Nd 0.0000 0.5000 0.0000
Ni 0.0000 0.0000 0.0000
Pm 0.5000 0.5000 0.5000
```

## Properties
* magnetic moment: 0.00 μB per cell
* DOS(E_F): 2.356 states/eV per atom

---

Most stable structure - run a; separation to the second - 150 meV/atom.

---

Run a
Entry from the Alexandria database: Pm3NdNi after structural relaxation (PBE). Values from VASP.

```
&SYSTEM
  ibrav = 0, nat = 5, ntyp = 3
/
ATOMIC_SPECIES
Nd 144.24 Nd.upf
Pm 145.00 Pm.upf
Ni 58.69 Ni.upf
CELL_PARAMETERS angstrom
5.4682 0.0000 0.0000
0.0000 5.4682 0.0000
0.0000 0.0000 5.4682
ATOMIC_POSITIONS crystal
Nd 0.5000 0.5000 0.5000
Pm 0.0000 0.0000 0.5000
Ni 0.0000 0.0000 0.0000
Pm 0.0000 0.5000 0.0000
Pm 0.5000 0.0000 0.0000
```

## Properties
* magnetic moment: 0.00 μB per cell
* DOS(E_F): 2.283 states/eV per atom

---

Run b
Entry from the Alexandria database: Pm3NdNi after structural relaxation (PBE). Values from VASP.

```
&SYSTEM
  ibrav = 0, nat = 10, ntyp = 3
/
ATOMIC_SPECIES
Ni 58.69 Ni.upf
Nd 144.24 Nd.upf
Pm 145.00 Pm.upf
CELL_PARAMETERS angstrom
-2.4283 -5.6900 -0.0308
0.0235 -0.0462 6.6209
-7.1025 3.0308 0.0444
ATOMIC_POSITIONS crystal
Ni 0.6793 0.6740 0.2007
Nd 0.4296 0.3252 0.7009
Pm 0.4184 0.3321 0.2009
Nd 0.9296 0.0276 0.2007
Pm 0.4254 0.8575 0.9537

GGA-PBE EuErTm2, optimized geometry; E_tot = -5.776 eV per atom; E above lowest polymorph = 98.3 meV per atom
1.0
5.673 0.000 0.000
2.836 4.913 0.000
2.836 1.638 4.632
Eu Tm Er
1 2 1
Cartesian
0.000 0.000 0.000
2.836 1.638 1.158
8.509 4.913 3.474
5.673 3.275 2.316

=====

Run a
Entry from the Alexandria database: Pm2NdNi after structural relaxation (PBE). Values from VASP.

```
&SYSTEM
  ibrav = 0, nat = 16, ntyp = 3
/
ATOMIC_SPECIES
Pm 145.00 Pm.upf
Ni 58.69 Ni.upf
Nd 144.24 Nd.upf
CELL_PARAMETERS angstrom
-3.1898 3.0996 -4.7404
-2.9665 -6.0623 -1.9679
-7.5714 1.6920 6.2011
ATOMIC_POSITIONS crystal
Pm 0.1741 0.6766 0.4333
Ni 0.4315 0.8875 0.2500
Pm 0.3259 0.1766 0.0667
Pm 0.8259 0.3234 0.9333
Ni 0.5685 0.1125 0.7500
Nd 0.3564 0.4656 0.7500
Pm 0.6741 0.8234 0.9333
Pm 0.6741 0.8234 0.5667
Ni 0.0685 0.3875 0.2500
Ni 0.9315 0.6125 0.7500
Nd 0.8564 0.0344 0.2500
Pm 0.8259 0.3234 0.5667
Pm 0.1741 0.6766 0.0667
Pm 0.3259 0.1766 0.4333
Nd 0.1436 0.9656 0.7500
Nd 0.6436 0.5344 0.2500
```

## Properties
* magnetic moment: 0.00 μB per cell
* DOS(E_F): 1.055 states/eV per atom

---

Run b
Entry from the Alexandria database: Pm2NdNi after structural relaxation (PBE). Values from VASP.

```
&SYSTEM
  ibrav = 0, nat = 4, ntyp = 3
/
ATOMIC_SPECIES
Ni 58.69 Ni.upf
Nd 144.24 Nd.upf
Pm 145.00 Pm.upf
CELL_PARAMETERS angstrom
-0.9589 -3.5500 -0.1606
-0.2727 -1.6870 -3.2600
9.7832 -4.5256 -0.5545
ATOMIC_POSITIONS crystal
Ni 0.5000 0.5000 0.5000
Nd 0.0000 0.0000 0.0000
Pm 0.1115 0.1115 0.6655
Pm 0.8885 0.8885 0.3345
```

## Properties
* magnetic moment: 0.38 μB per cell
* DOS(E_F): 1.619 states/eV per atom

---

Most stable structure - run a; separation to the second - 271 meV/atom.

---

Run a
Entry from the Alexandria database: PmNd3Ni after structural relaxation (PBE). Values from VASP.

```
&SYSTEM
  ibrav = 0, nat = 10, ntyp = 3
/
ATOMIC_SPECIES
Nd 144.24 Nd.upf
Pm 145.00 Pm.upf
Ni 58.69 Ni.upf
CELL_PARAMETERS angstrom
3.7183 0.0000 0.6110
1.7925 6.0984 0.7111
-0.2439 -0.4751 13.1039
ATOMIC_POSITIONS crystal
Nd 0.1091 0.1532 0.6286
Nd 0.7782 0.0547 0.3889
Nd 0.9910 0.1117 0.9063
Pm 0.2209 0.5549 0.0033
Nd 0.4380 0.9760 0.1481
Ni 0.4540 0.3195 0.7725
Nd 0.4344 0.6129 0.5183
Nd 0.7748 0.6895 0.7609
Pm 0.1039 0.5137 0.2784
Ni 0.7566 0.3506 0.1362
```

## Properties
* magnetic moment: 0.00 μB per cell
* DOS(E_F): 1.337 states/eV per atom

---

Run b
Entry from the Alexandria database: PmNd3Ni after structural relaxation (PBE). Values from VASP.

```
&SYSTEM
  ibrav = 0, nat = 5, ntyp = 3
/
ATOMIC_SPECIES
Nd 144.24 Nd.upf
Ni 58.69 Ni.upf
Pm 145.00 Pm.upf
CELL_PARAMETERS angstrom
5.4959 0.0000 0.0000
0.0000 5.4959 0.0000
0.0000 0.0000 5.4959
ATOMIC_POSITIONS crystal
Nd 0.5000 0.0000 0.0000
Nd 0.0000 0.0000 0.5000
Nd 0.0000 0.5000 0.0000
Ni 0.0000 0.0000 0.0000
Pm 0.5000 0.5000 0.5000
```

## Properties
* magnetic moment: 0.00 μB per cell
* DOS(E_F): 2.356 states/eV per atom

---

Most stable structure - run a; separation to the second - 150 meV/atom.

---

Run a
Entry from the Alexandria database: Pm3NdNi after structural relaxation (PBE). Values from VASP.

```
&SYSTEM
  ibrav = 0, nat = 5, ntyp = 3
/
ATOMIC_SPECIES
Nd 144.24 Nd.upf
Pm 145.00 Pm.upf
Ni 58.69 Ni.upf
CELL_PARAMETERS angstrom
5.4682 0.0000 0.0000
0.0000 5.4682 0.0000
0.0000 0.0000 5.4682
ATOMIC_POSITIONS crystal
Nd 0.5000 0.5000 0.5000
Pm 0.0000 0.0000 0.5000
Ni 0.0000 0.0000 0.0000
Pm 0.0000 0.5000 0.0000
Pm 0.5000 0.0000 0.0000
```

## Properties
* magnetic moment: 0.00 μB per cell
* DOS(E_F): 2.283 states/eV per atom

---

Run b
Entry from the Alexandria database: Pm3NdNi after structural relaxation (PBE). Values from VASP.

```
&SYSTEM
  ibrav = 0, nat = 10, ntyp = 3
/
ATOMIC_SPECIES
Ni 58.69 Ni.upf
Nd 144.24 Nd.upf
Pm 145.00 Pm.upf
CELL_PARAMETERS angstrom
-2.4283 -5.6900 -0.0308
0.0235 -0.0462 6.6209
-7.1025 3.0308 0.0444
ATOMIC_POSITIONS crystal
Ni 0.6793 0.6740 0.2007
Nd 0.4296 0.3252 0.7009
Pm 0.4184 0.3321 0.2009
Nd 0.9296 0.0276 0.2007
Pm 0.4254 0.8575 0.9537